Liturgical Ministries
St. George Catholic Church
124 W. 4th Street
Hermann, Missouri
Mass Times:
St. George
Sunday: 7:00 AM & 10:30 AM
Monday: 7:45 AM Communion Service
Tuesday: 6:00 PM
Wed-Fri: 7:45 AM
Saturday: 5:00 PM
+++
Diffraction record for KCoO3. The X-ray diffraction stick pattern is simulated, not measured: it uses a crystal structure in OQMD, relaxed with PBE+U and Cu Kα.
Kinematic intensities with the Lorentz-polarization factor, no thermal factor.

Cell lengths 3.6851, 3.6851, 4.5312 Å; angles 90.00, 90.00, 90.00 degrees
Sites, in units of the cell vectors:
1 K 0.0000 0.0000 0.0000
2 Co 0.5000 0.5000 0.4652
3 O 0.0000 0.5000 0.5410
4 O 0.5000 0.0000 0.5410
5 O 0.5000 0.5000 0.0854

Largest 8 diffraction maxima, in order of rising 2θ, 10° ≤ 2θ ≤ 90°:
hkl  2θ (°)  d_spacing  I (rel.)
1 0 0  24.2  3.685  17.9
1 0 1  31.3  2.859  100.0
1 1 0  34.4  2.606  35.3
0 0 2  39.8  2.266  27.4
2 0 0  49.5  1.843  34.4
1 1 2  53.6  1.709  20.5
2 1 1  59.7  1.549  28.1
2 0 2  65.3  1.430  20.2

* * * * *

1.
# Li4Fe3CoO8
Computed X-ray diffraction stick pattern, Cu Kα, 1.54184 Å. Input: a DFT-relaxed cell (PBE+U, the Materials Project).
No peak broadening, texture or thermal motion is included.

Most intense lines, 15 to 90 degrees two-theta, in order of rising 2θ:
2θ/deg  I_rel
20.95  83
22.17  100
31.79  28
31.95  56
35.22  51
36.48  37

```
data_Li4Fe3CoO8
_cell_length_a 5.096
_cell_length_b 5.595
_cell_length_c 6.497
_cell_angle_alpha 90.25
_cell_angle_beta 90.16
_cell_angle_gamma 90.26
_symmetry_space_group_name_H-M 'P 1'
_symmetry_Int_Tables_number 1
loop_
_symmetry_equiv_pos_as_xyz
'x,y,z'
loop_
_atom_site_label
_atom_site_fract_x
_atom_site_fract_y
_atom_site_fract_z
Li1 0.000 0.000 0.000
Li2 0.001 0.500 0.749
Li3 0.498 0.164 0.250
Li4 0.500 0.667 0.502
Fe1 0.004 0.500 0.253
Fe2 0.499 0.165 0.748
Fe3 0.503 0.667 0.999
Co1 0.000 0.998 0.497
O1 0.373 0.006 0.506
O2 0.380 0.509 0.241
O3 0.395 0.493 0.759
O4 0.395 0.993 0.989
O5 0.876 0.156 0.736
O6 0.879 0.655 0.011
O7 0.895 0.173 0.265
O8 0.900 0.676 0.494
```

=====

2.
# Li2FeCoO4
Computed X-ray diffraction stick pattern, Cu Kα, 1.54184 Å. Input: a DFT-relaxed cell (PBE+U, the Materials Project).
No peak broadening, texture or thermal motion is included.

Most intense lines, 15 to 90 degrees two-theta, in order of rising 2θ:
2θ/deg  I_rel
24.13  100
37.52  20
41.93  27
44.41  48
51.17  23
62.72  27

```
data_Li2FeCoO4
_cell_length_a 4.080
_cell_length_b 4.080
_cell_length_c 8.619
_cell_angle_alpha 90.00
_cell_angle_beta 90.00
_cell_angle_gamma 90.00
_symmetry_space_group_name_H-M 'I -4 m 2'
_symmetry_Int_Tables_number 119
_symmetry_space_group_name_Hall 'I -4 -2'
loop_
_atom_site_label
_atom_site_fract_x
_atom_site_fract_y
_atom_site_fract_z
Li1 0.000 0.000 0.000
Li2 0.000 0.500 0.250
Fe1 0.000 0.000 0.500
Co1 0.000 0.500 0.750
O1 0.000 0.000 0.265
O2 0.000 0.500 0.523
```

=====

3.
# Li8FeCo3O8
Computed X-ray diffraction stick pattern, Cu Kα, 1.54184 Å. Input: a DFT-relaxed cell (PBE+U, the Materials Project).
No peak broadening, texture or thermal motion is included.

Most intense lines, 15 to 90 degrees two-theta, in order of rising 2θ:
2θ/deg  I_rel
20.51  100
20.76  37
20.96  35
30.26  30
32.49  40
+++
Confessions: Saturdays 4:00-4:30 PM
Church of the Risen Savior:
Sunday: 8:30 AM
Wednesday: 6:00 PM
Shrine of Our Lady of Sorrows:
Second Tuesday of the Month May - Nov: 11:15 am Confessions & Mass at Noon
Contact Us
Church Office
School Office Phone
Diocese of Jefferson City
Chancery Offices
Liturgical Ministries
Click here to view the Dec-Feb Server and Ministry Schedule
Enhancing the Spiritual Life of our Parish
The Worship and Spiritual Development Commission fosters and enhances the spiritual life of the Cathedral parish by the planning and implementation of worship and spiritual development opportunities according to the liturgical norms of the Roman Catholic Church.
Serving at Mass and other liturgies is an important role because the server is assisting, not just the priest, but the whole worshipping community. Hence, altar servers are called to be aware of their role and their responsibility in performing it well.
Altar servers should have reverence for the sanctuary, and excitement for the Mass. They will assists Father at the altar during weekend Masses and for special liturgies (funerals, weddings, etc). Servers should arrive 15-20 minutes before Mass begins. Training is required and available for new volunteers.
Laity who assist the clergy in the distribution of Holy Communion during Mass, as well as to those who are home-bound or sick, are called "Extraordinary Ministers of Holy Communion."
These ministers must have received all 3 initiation sacraments (Baptism, Confirmation, Eucharist), and should have a special devotion and reverence for the presence of Jesus in the Eucharist. Assists Father and Deacons in distributing Holy Communion. EMHCs should arrive 10 minutes before Mass begins. Training is available and required.
Greeters are the people that our parishioners and guests meet when they walk through the doors at St. George Church.
Greeters should have a warm, welcoming spirit, and heart for hospitality.
These parish volunteers welcome those arriving for Mass, opening the door for them, and extending a warm greeting.
Greeters should arrive 20-30 minutes before Mass begins. Training is not necessary.
To be a Greeter at Mass, you can simply show up early and take your place at the doors of church welcoming the congregation. All ages welcome!
Lectors are readers, who proclaim the Word of God at liturgies. All new lectors will have a training session prior to being assigned.
Lectors must have received all 3 initiation sacraments (Baptism, Confirmation, Eucharist). Must be comfortable with public speaking. Proclaims the Word of God to the congregation, and should prepare and practice proclaiming several times throughout the week. Should arrive 15-20 minutes before Mass begins. Training is available and required.
If you are interested in becoming a Lector, please contact the parish office today to sign up and receive news of the next lector training session.
Music ministers should have a love and excitement for music and the liturgy, familiarity with the flow of Mass, and basic understanding of liturgical seasons.
Music ministry enhances the liturgical experience with music that is appropriate to the liturgical season and connected to the Scripture readings for the day.
Singers and instrumentalists of all ages and skill levels are welcome. Singers are not required to read music but must be able to carry a tune. Music ministers should practice throughout the week to adequately prepare and should arrive 20-30 minutes before Mass begins.
We are so excited to welcome new members into our liturgical ministries. To join our music ministry, please contact Tim Engemann (314) 607-2494
Ushers should have a warm, welcoming spirit, and a heart for hospitality. Our ushers welcome those arriving for Mass, and helps them find a seat if needed.
During Mass, ushers take up collections and assist with the flow of Holy Communion. After Mass, they hand out bulletins and tidy pews. Special duties as instructed.
Volunteers serving as ushers at Mass should arrive 20 minutes before Mass begins. Training is available and encouraged.
We have many behind-the-scenes opportunities to serve the liturgy!
Contact the Parish Office for more information or to sign up for: Decorating the Church, Cleaning the Church, Visiting the Sick or Homebound, Liturgy Committee, Assisting with Group Sacrament Celebrations.
If you have a special skill, other areas you’d like to serve, or are not sure where you can help, contact us!